**What to do:**
Duplicate the whole of the entries below with every line break kept, please.
**Excerpt:**
1.
A relaxed Ag3B2Pt4 crystal. Source: Alexandria, functional PBE-GGA.

POSCAR file:
```
Ag3B2Pt4
1.0
-0.8472 -2.7614 -0.8392
4.1100 -0.6242 3.2951
-7.4935 0.3142 6.5314
Ag B Pt
3 2 4
direct
0.3811 0.7622 0.6521 Ag
0.0000 0.0000 0.0000 Ag
0.6189 0.2378 0.3479 Ag
0.3138 0.6276 0.2626 B
0.6862 0.3724 0.7374 B
0.7575 0.5150 0.1220 Pt
0.1038 0.2076 0.6052 Pt
0.8962 0.7924 0.3948 Pt
0.2425 0.4850 0.8780 Pt
```

Summary:
- Formation energy: -0.0638 eV per atom
- SG: C2/m, No. 12
- DFT total energy: -46.6 eV/cell

2.
A relaxed AgBPt4 crystal. Source: Alexandria, functional PBE-GGA.

POSCAR file:
```
AgBPt4
1.0
-3.3652 3.4601 -2.8650
-3.9551 -2.5157 1.6073
-0.0832 6.8375 2.8571
Ag B Pt
2 2 8
direct
0.8060 0.1943 0.3879 Ag
0.1940 0.8057 0.6121 Ag
0.4999 0.6842 0.0003 B
0.5001 0.3158 0.9997 B
0.6945 0.8062 0.6111 Pt
0.6426 0.6139 0.2279 Pt
0.7552 0.0000 0.0000 Pt
0.8705 0.3861 0.7721 Pt
0.3055 0.1938 0.3889 Pt
0.3574 0.3861 0.7721 Pt
0.2448 0.0000 0.0000 Pt
0.1295 0.6139 0.2279 Pt
```

Summary:
- Formation energy: -0.0492 eV per atom
- SG: C2/m, No. 12
- DFT total energy: -68.0 eV/cell
- Excess energy over the best structure of this formula in the dataset: 83 meV/atom

3.
A relaxed AgBPt crystal. Source: Alexandria, functional PBE-GGA.

POSCAR file:
```
AgBPt
1.0
-0.5870 2.2223 -2.5212
-2.6170 -1.4522 1.6376
-0.0096 3.2706 2.8851
B Ag Pt
1 1 1
direct
0.3333 0.6667 0.5825 B
0.0000 0.0000 0.9664 Ag
0.6667 0.3333 0.4511 Pt
```

Summary:
- Formation energy: 0.0698 eV per atom
- SG: P3m1, No. 156
- DFT total energy: -15.4 eV/cell
- Excess energy over the best structure of this formula in the dataset: 166 meV/atom

4.
A relaxed Ag2BPt6 crystal. Source: Alexandria, functional PBE-GGA.

POSCAR file:
```
Ag2BPt6
1.0
2.8571 0.0000 0.0000
0.0000 6.5635 -3.7894
0.0000 0.0000 7.5789
Ag B Pt
2 1 6
direct
0.5000 0.6667 0.3333 Ag
0.5000 0.3333 0.6667 Ag
0.0000 0.0000 0.0000 B
0.2318 0.0000 0.3021 Pt
0.2318 0.6979 0.6979 Pt
0.7682 0.0000 0.6979 Pt
0.7682 0.6979 0.0000 Pt
0.7682 0.3021 0.3021 Pt
0.2318 0.3021 0.0000 Pt
```

Summary:
- Formation energy: 0.2412 eV per atom
- SG: P-31m, No. 162
- DFT total energy: -46.5 eV/cell

| no. | magnetization (Bohr magnetons per cell) |
| --- | --- |
| 1 | 0.0 |
| 2 | 0.0 |
| 3 | 0.0 |
| 4 | 0.0 |

----------

[1]
This record from the Alexandria database describes a relaxed HfAgBr2 crystal. The functional is PBE.

Geometry as extended XYZ:
```
4
Lattice="0.0000 3.4829 3.4829 3.4829 0.0000 3.4829 3.4829 3.4829 0.0000" Properties=species:S:1:pos:R:3 pbc="T T T"
Ag 0.0000 0.0000 0.0000
Br 1.7415 1.7415 1.7415
Br 5.2244 5.2244 5.2244
Hf 3.4829 3.4829 3.4829
```

Output
Raw formation energy ... 0.113 eV/atom
Energy above the most stable polymorph in this dataset ... 299.1 meV/atom
Space-group type ... Fm-3m, No. 225

[2]
This record from the Alexandria database describes a relaxed PtCl3 crystal. The functional is PBE.

Geometry as extended XYZ:
```
4
Lattice="4.3069 0.0000 0.0000 0.0000 4.3069 0.0000 0.0000 0.0000 4.3069" Properties=species:S:1:pos:R:3 pbc="T T T"
Cl 2.1535 0.0000 2.1535
Cl 0.0000 2.1535 2.1535
Cl 2.1535 2.1535 0.0000
Pt 0.0000 0.0000 0.0000
```

Output
Raw formation energy ... 0.996 eV/atom
Space-group type ... Pm-3m, No. 221

[3]
This record from the Alexandria database describes a relaxed NaSiBr4 crystal. The functional is PBE.

Geometry as extended XYZ:
```
6
Lattice="-2.6198 -5.0778 -3.7075 -3.0816 -2.4639 5.5521 -1.5285 6.8177 -2.0007" Properties=species:S:1:pos:R:3 pbc="T T T"
Na -3.4995 -1.0155 -2.3930
Br -3.9465 -2.3792 2.5574
Br -3.9060 -3.6659 -1.2425
Br -4.4947 0.7658 -0.3072
Br -2.1126 3.8312 -1.3199
Si -2.8507 -3.7709 0.9223
```

Output
Raw formation energy ... -0.753 eV/atom
Space-group type ... I-4, No. 82

[4]
This record from the Alexandria database describes a relaxed CaSmInSn crystal. The functional is PBE.

Geometry as extended XYZ:
```
4
Lattice="5.4317 0.0000 0.0000 2.7159 4.7040 0.0000 2.7159 1.5680 4.4350" Properties=species:S:1:pos:R:3 pbc="T T T"
Ca 2.7159 1.5680 1.1087
**Done:**
1.
A relaxed Ag3B2Pt4 crystal. Source: Alexandria, functional PBE-GGA.

POSCAR file:
```
Ag3B2Pt4
1.0
-0.8472 -2.7614 -0.8392
4.1100 -0.6242 3.2951
-7.4935 0.3142 6.5314
Ag B Pt
3 2 4
direct
0.3811 0.7622 0.6521 Ag
0.0000 0.0000 0.0000 Ag
0.6189 0.2378 0.3479 Ag
0.3138 0.6276 0.2626 B
0.6862 0.3724 0.7374 B
0.7575 0.5150 0.1220 Pt
0.1038 0.2076 0.6052 Pt
0.8962 0.7924 0.3948 Pt
0.2425 0.4850 0.8780 Pt
```

Summary:
- Formation energy: -0.0638 eV per atom
- SG: C2/m, No. 12
- DFT total energy: -46.6 eV/cell

2.
A relaxed AgBPt4 crystal. Source: Alexandria, functional PBE-GGA.

POSCAR file:
```
AgBPt4
1.0
-3.3652 3.4601 -2.8650
-3.9551 -2.5157 1.6073
-0.0832 6.8375 2.8571
Ag B Pt
2 2 8
direct
0.8060 0.1943 0.3879 Ag
0.1940 0.8057 0.6121 Ag
0.4999 0.6842 0.0003 B
0.5001 0.3158 0.9997 B
0.6945 0.8062 0.6111 Pt
0.6426 0.6139 0.2279 Pt
0.7552 0.0000 0.0000 Pt
0.8705 0.3861 0.7721 Pt
0.3055 0.1938 0.3889 Pt
0.3574 0.3861 0.7721 Pt
0.2448 0.0000 0.0000 Pt
0.1295 0.6139 0.2279 Pt
```

Summary:
- Formation energy: -0.0492 eV per atom
- SG: C2/m, No. 12
- DFT total energy: -68.0 eV/cell
- Excess energy over the best structure of this formula in the dataset: 83 meV/atom

3.
A relaxed AgBPt crystal. Source: Alexandria, functional PBE-GGA.

POSCAR file:
```
AgBPt
1.0
-0.5870 2.2223 -2.5212
-2.6170 -1.4522 1.6376
-0.0096 3.2706 2.8851
B Ag Pt
1 1 1
direct
0.3333 0.6667 0.5825 B
0.0000 0.0000 0.9664 Ag
0.6667 0.3333 0.4511 Pt
```

Summary:
- Formation energy: 0.0698 eV per atom
- SG: P3m1, No. 156
- DFT total energy: -15.4 eV/cell
- Excess energy over the best structure of this formula in the dataset: 166 meV/atom

4.
A relaxed Ag2BPt6 crystal. Source: Alexandria, functional PBE-GGA.

POSCAR file:
```
Ag2BPt6
1.0
2.8571 0.0000 0.0000
0.0000 6.5635 -3.7894
0.0000 0.0000 7.5789
Ag B Pt
2 1 6
direct
0.5000 0.6667 0.3333 Ag
0.5000 0.3333 0.6667 Ag
0.0000 0.0000 0.0000 B
0.2318 0.0000 0.3021 Pt
0.2318 0.6979 0.6979 Pt
0.7682 0.0000 0.6979 Pt
0.7682 0.6979 0.0000 Pt
0.7682 0.3021 0.3021 Pt
0.2318 0.3021 0.0000 Pt
```

Summary:
- Formation energy: 0.2412 eV per atom
- SG: P-31m, No. 162
- DFT total energy: -46.5 eV/cell

| no. | magnetization (Bohr magnetons per cell) |
| --- | --- |
| 1 | 0.0 |
| 2 | 0.0 |
| 3 | 0.0 |
| 4 | 0.0 |

----------

[1]
This record from the Alexandria database describes a relaxed HfAgBr2 crystal. The functional is PBE.

Geometry as extended XYZ:
```
4
Lattice="0.0000 3.4829 3.4829 3.4829 0.0000 3.4829 3.4829 3.4829 0.0000" Properties=species:S:1:pos:R:3 pbc="T T T"
Ag 0.0000 0.0000 0.0000
Br 1.7415 1.7415 1.7415
Br 5.2244 5.2244 5.2244
Hf 3.4829 3.4829 3.4829
```

Output
Raw formation energy ... 0.113 eV/atom
Energy above the most stable polymorph in this dataset ... 299.1 meV/atom
Space-group type ... Fm-3m, No. 225

[2]
This record from the Alexandria database describes a relaxed PtCl3 crystal. The functional is PBE.

Geometry as extended XYZ:
```
4
Lattice="4.3069 0.0000 0.0000 0.0000 4.3069 0.0000 0.0000 0.0000 4.3069" Properties=species:S:1:pos:R:3 pbc="T T T"
Cl 2.1535 0.0000 2.1535
Cl 0.0000 2.1535 2.1535
Cl 2.1535 2.1535 0.0000
Pt 0.0000 0.0000 0.0000
```

Output
Raw formation energy ... 0.996 eV/atom
Space-group type ... Pm-3m, No. 221

[3]
This record from the Alexandria database describes a relaxed NaSiBr4 crystal. The functional is PBE.

Geometry as extended XYZ:
```
6
Lattice="-2.6198 -5.0778 -3.7075 -3.0816 -2.4639 5.5521 -1.5285 6.8177 -2.0007" Properties=species:S:1:pos:R:3 pbc="T T T"
Na -3.4995 -1.0155 -2.3930
Br -3.9465 -2.3792 2.5574
Br -3.9060 -3.6659 -1.2425
Br -4.4947 0.7658 -0.3072
Br -2.1126 3.8312 -1.3199
Si -2.8507 -3.7709 0.9223
```

Output
Raw formation energy ... -0.753 eV/atom
Space-group type ... I-4, No. 82

[4]
This record from the Alexandria database describes a relaxed CaSmInSn crystal. The functional is PBE.

Geometry as extended XYZ:
```
4
Lattice="5.4317 0.0000 0.0000 2.7159 4.7040 0.0000 2.7159 1.5680 4.4350" Properties=species:S:1:pos:R:3 pbc="T T T"
Ca 2.7159 1.5680 1.1087